Eight ways to cope with grudges

Eight ways to cope with grudges

It is part of human nature to hold grudges. The reasons behind grudges can be because of misunderstandings and assumptions, unrealistic expectations, feeling left out, reaching a limit, or even envy. We hold grudges when we feel anger, bitterness, resentment, or other negative feelings after someone has done something to hurt us. However, grudges are often persistent and can end up hurting you as much as the person who caused it. This is because holding onto grudges can cause you to relive bad experiences or feel trapped in an unpleasant event, leading to more distress, frustration, and disappointment. Therefore, although these negative feelings towards others may be unavoidable, it is important to learn how to cope with them in a positive way and overcome them.

  • The first step to overcoming a grudge is acknowledging the problem. What caused your grudge? Allow yourself to see the real issue in order to solve it.
  • Communicate with the person about the issue. Grudges often result from a lack of confrontation, so when you are ready, clarify your feelings with the other person about the issue. Whether you resolve the issue or not, this can be beneficial as you may feel more relieved by releasing built up emotions.
    Try putting yourself in their shoes. You may better understand their point of view and where they were coming from or what may have caused them to act a certain way. This doesn’t justify their actions, but it may help you understand why something happened.
  • Don’t wait for the person you are upset with to apologize. The person who inspired your grudge might not care about the issue, may feel remorseful but unable to apologize, or may not understand that they even caused harm towards another person in the first place. By accepting the situation without an apology, you can begin healing on your own.
  • The more you dwell on the issue, the harder it will be to move past it. Therefore, try to change the topic if the issue is brought up and try to leave it in the past.
  • Try viewing your grudge as a learning experience. There are positives to every negative situation. You may benefit by choosing to walk away with a better understanding of yourself and the situation.
  • Let the issue go. A persisting grudge will negatively impact your mental health by draining your energy. Letting the grudge go will give you more room for peace and happiness.
  • Lastly, try to forgive. Forgiving does not mean forgetting, but it means you acknowledge that everyone makes mistakes and we should learn from them. This may be difficult, but without forgiveness, it is even more difficult to truly let go of a grudge and be at peace.

Although it is difficult to forgive others when they hurt or offend us, holding a grudge can be more detrimental to your mental well-being. Allowing small things that upset us to consume energy can take us off the course toward our overarching goals. Overcoming grudges is a sign of maturity and resilience as you encounter different experiences in life. Communicating your negative feelings to the source can help prevent long-term grudges and develop your personal relationships to a healthier and more mutual understanding.

TJ, Pooja and Elisa 

Editor’s Note

The idea of youth voice takes on many forms, including sharing experiences and ideas with policy makers, which many of the young people of Our Tomorrow have done. 

Next to the article, the page also holds data records:
┌──
Material: FeAgRu2N
Method: DFT, PBE
State: relaxed

Cell lengths 4.053, 4.053, 3.949 Å; angles 90.00, 90.00, 90.00 degrees
Element x y z (fractional)
1 Fe 0.000 0.000 0.000
2 Ag 0.500 0.500 0.000
3 Ru 0.000 0.500 0.500
4 Ru 0.500 0.000 0.500
5 N 0.000 0.000 0.500

Output
Electronic total energy ... -7.344 eV/atom
Energy relative to the elements, uncorrected ... 295 meV/atom

Material: FeAgSeN2
Method: DFT, PBE
State: relaxed

Cell lengths 3.963, 3.963, 6.233 Å; angles 90.00, 90.00, 90.00 degrees
Element x y z (fractional)
1 Fe 0.000 0.000 0.000
2 Ag 0.500 0.500 0.500
3 Se 0.500 0.500 0.000
4 N 0.000 0.500 0.500
5 N 0.500 0.000 0.500

Output
Polymorph energy (0 for the lowest one) ... 1180.5 meV/atom
Electronic total energy ... -4.335 eV/atom
Energy relative to the elements, uncorrected ... 1955 meV/atom

Material: FeAgSeN2
Method: DFT, PBE
State: relaxed

Cell lengths 3.622, 3.622, 5.445 Å; angles 90.00, 90.00, 90.00 degrees
Element x y z (fractional)
1 Fe 0.000 0.000 0.000
2 Ag 0.500 0.500 0.500
3 Se 0.000 0.000 0.500
4 N 0.000 0.500 0.000
5 N 0.500 0.000 0.000

Output
Polymorph energy (0 for the lowest one) ... 0.0 meV/atom
Electronic total energy ... -5.515 eV/atom
Energy relative to the elements, uncorrected ... 775 meV/atom

Material: Fe2SiAgN
Method: DFT, PBE
State: relaxed

Cell lengths 3.734, 3.734, 4.420 Å; angles 90.00, 90.00, 90.00 degrees
Element x y z (fractional)
1 Fe 0.000 0.500 0.000
2 Fe 0.500 0.000 0.000
3 Si 0.000 0.000 0.500
4 Ag 0.500 0.500 0.500
5 N 0.500 0.500 0.000

Output
Electronic total energy ... -6.209 eV/atom
Energy relative to the elements, uncorrected ... 496 meV/atom

Material: SrFeAgN2
Method: DFT, PBE
State: relaxed

Cell lengths 3.831, 3.831, 5.777 Å; angles 90.00, 90.00, 90.00 degrees
Element x y z (fractional)
1 Sr 0.000 0.000 0.000
2 Fe 0.000 0.000 0.500
3 Ag 0.500 0.500 0.000
4 N 0.000 0.500 0.500
5 N 0.500 0.000 0.500

Output
Electronic total energy ... -4.904 eV/atom
Energy relative to the elements, uncorrected ... 1026 meV/atom

Material: TaFe2AgN
Method: DFT, PBE
State: relaxed

Cell lengths 4.780, 4.780, 3.947 Å; angles 90.00, 90.00, 90.00 degrees
Element x y z (fractional)
1 Ta 0.000 0.000 0.000
2 Fe 0.000 0.500 0.000
3 Fe 0.500 0.000 0.000
4 Ag 0.500 0.500 0.500
5 N 0.000 0.000 0.500

Output
Electronic total energy ... -6.829 eV/atom
Energy relative to the elements, uncorrected ... 1162 meV/atom

Material: Fe2TcAgN
Method: DFT, PBE
State: relaxed

Cell lengths 3.948, 3.948, 4.002 Å; angles 90.00, 90.00, 90.00 degrees
Element x y z (fractional)
1 Fe 0.000 0.500 0.000
2 Fe 0.500 0.000 0.000
3 Tc 0.000 0.000 0.500
4 Ag 0.500 0.500 0.500
5 N 0.000 0.000 0.000

Output
Electronic total energy ... -7.551 eV/atom
Energy relative to the elements, uncorrected ... 142 meV/atom

Material: FeTc2AgN
Method: DFT, PBE
State: relaxed

Cell lengths 4.066, 4.066, 3.904 Å; angles 90.00, 90.00, 90.00 degrees
Element x y z (fractional)
1 Fe 0.000 0.000 0.000
2 Tc 0.000 0.500 0.500
3 Tc 0.500 0.000 0.500
└──

However, young people’s experiences and ideas are abundant and we at Our Tomorrow and UP Partnership wanted to create a space for them to share their thoughts on current issues they face around mental wellness. This is a series of blogs that we will share monthly that highlight these experiences, thoughts and opinions. Thank you to The Center for Young Minds and The Ecumenical Center for partnering with us for this initiative.

Attached: calculated crystals:
-- begin --
Record 1
# GGA-PBEsol BaAlIr2, relaxed
data_BaAlIr2
_chemical_formula_sum 'Ba1 Al1 Ir2'
_symmetry_space_group_name_H-M 'P 1'
_symmetry_Int_Tables_number 1
_cell_length_a 4.7354
_cell_length_b 4.7536
_cell_length_c 4.7354
_cell_angle_alpha 60.13
_cell_angle_beta 90.00
_cell_angle_gamma 119.87
loop_
_symmetry_equiv_pos_as_xyz
'x,y,z'
loop_
_atom_site_label
_atom_site_type_symbol
_atom_site_fract_x
_atom_site_fract_y
_atom_site_fract_z
Ba1 Ba 0.0000 0.0000 0.0000
Ir1 Ir 0.2500 0.5000 0.2500
Ir2 Ir 0.7500 0.5000 0.7500
Al1 Al 0.5000 0.0000 0.5000
# ΔE_f: 0.449 eV/atom


Record 2
# GGA-PBEsol Te2IrAu, relaxed
data_Te2IrAu
_chemical_formula_sum 'Te2 Ir1 Au1'
_symmetry_space_group_name_H-M 'P 1'
_symmetry_Int_Tables_number 1
_cell_length_a 3.5818
_cell_length_b 4.7716
_cell_length_c 4.7716
_cell_angle_alpha 102.33
_cell_angle_beta 90.00
_cell_angle_gamma 90.00
loop_
_symmetry_equiv_pos_as_xyz
'x,y,z'
loop_
_atom_site_label
_atom_site_type_symbol
_atom_site_fract_x
_atom_site_fract_y
_atom_site_fract_z
Au1 Au 0.5000 0.0000 0.0000
Te1 Te 0.0000 0.0000 0.5000
Te2 Te 0.0000 0.5000 0.0000
Ir1 Ir 0.5000 0.5000 0.5000
# Formation energy (no corrections): 0.458 eV/atom


Record 3
# GGA-PBEsol AlTlOs2, relaxed
data_AlTlOs2
_chemical_formula_sum 'Al1 Tl1 Os2'
_symmetry_space_group_name_H-M 'P 1'
_symmetry_Int_Tables_number 1
_cell_length_a 2.9375
_cell_length_b 4.5931
_cell_length_c 5.0165
_cell_angle_alpha 111.46
_cell_angle_beta 90.00
_cell_angle_gamma 90.00
loop_
_symmetry_equiv_pos_as_xyz
'x,y,z'
loop_
_atom_site_label
_atom_site_type_symbol
_atom_site_fract_x
_atom_site_fract_y
_atom_site_fract_z
Al1 Al 0.0000 0.5000 0.5000
Os1 Os 0.5000 0.0000 0.5000
Os2 Os 0.0000 0.0000 0.0000
Tl1 Tl 0.5000 0.5000 0.0000
# ΔE_f: 0.579 eV/atom


Record 4
# GGA-PBEsol ZrCu2H2, relaxed
data_ZrCu2H2
_chemical_formula_sum 'Zr1 Cu2 H2'
_symmetry_space_group_name_H-M 'P 1'
_symmetry_Int_Tables_number 1
_cell_length_a 3.0044
_cell_length_b 3.0044
_cell_length_c 6.0741
_cell_angle_alpha 104.32
_cell_angle_beta 104.32
_cell_angle_gamma 90.00
loop_
_symmetry_equiv_pos_as_xyz
'x,y,z'
loop_
_atom_site_label
_atom_site_type_symbol
_atom_site_fract_x
_atom_site_fract_y
_atom_site_fract_z
Cu1 Cu 0.6700 0.6700 0.3400
H1 H 0.7500 0.2500 0.5000
Zr1 Zr 0.0000 0.0000 0.0000
H2 H 0.2500 0.7500 0.5000
Cu2 Cu 0.3300 0.3300 0.6600
# DFT total energy: -4.785 eV per atom


Record 5
# GGA-PBEsol FeIrPd3, relaxed
data_FeIrPd3
_chemical_formula_sum 'Fe1 Ir1 Pd3'
_symmetry_space_group_name_H-M 'P 1'
_symmetry_Int_Tables_number 1
_cell_length_a 4.3854
_cell_length_b 4.3854
_cell_length_c 4.3854
_cell_angle_alpha 90.00
_cell_angle_beta 90.00
_cell_angle_gamma 90.00
loop_
_symmetry_equiv_pos_as_xyz
'x,y,z'
loop_
_atom_site_label
_atom_site_type_symbol
_atom_site_fract_x
_atom_site_fract_y
_atom_site_fract_z
Pd1 Pd 0.5000 0.0000 0.0000
Fe1 Fe 0.0000 0.0000 0.0000
Ir1 Ir 0.5000 0.5000 0.5000
Pd2 Pd 0.0000 0.5000 0.0000
Pd3 Pd 0.0000 0.0000 0.5000
# ΔE_f: 1.347 eV/atom


Record 6
-- stop --

These thoughts and opinions do not expressly represent the thoughts of UP Partnership, its leadership team or board of directors.